Free Big Data Certification Course with Hadoop & Spark
A perfect blend of in-depth Hadoop and Spark theoretical knowledge and strong practical skills via implementation of real-time Hadoop and Spark projects to give you a headstart and enable you to bag top Hadoop jobs in the Big Data industry.
★★★★★ Reviews | 42169 Learners
What will you take home from this Free Hadoop and Spark Course?
- 70+ hrs of self-paced course
- 170+ hrs of study material, practicals, quizzes
- Acquire practical knowledge which industry needs
- Practical course with real-time case-studies
- Lifetime access with industry renowned certification
Why should you enroll in this Free Hadoop and Spark Course??
- Shape your career as Big Data shapes the IT World
- Grasp concepts of Hadoop and its ecosystem components
- Become adept in the latest version of Apache Hadoop
- Develop a complex game-changing MapReduce application
- Master the Hadoop ecosystem components
- Grasp the concepts of Apache Spark and its components
- Acquire an understanding of Spark SQL and Spark MLlib
- Become capable of clearing the CCA175 Spark and Hadoop developer certifications
- Enforce best practices for Hadoop and Spark development
- Gain in-depth Spark practical knowledge
- Work on live projects on Big Data analytics to get hands-on Experience
Why should you learn Hadoop and Spark?
-Peer Research
-The Economist
What to do before you begin your Spark Hadoop online training?
Although if you’d like, you can brush up on your Java skills with our free Java course right in your LMS.
Spark Hadoop Training Course Curriculum

- Necessity of Big Data and Hadoop in the industry
- Paradigm shift – why the industry is shifting to Big Data tools
- Different dimensions of Big Data
- Data explosion in the Big Data industry
- Various implementations of Big Data
- Different technologies to handle Big Data
- Traditional systems and associated problems
- Future of Big Data in the IT industry
- Why Hadoop is at the heart of every Big Data solution
- Introduction to the Big Data Hadoop framework
- Hadoop architecture and design principles
- Ingredients of Hadoop
- Hadoop characteristics and data-flow
- Components of the Hadoop ecosystem
- Hadoop Flavors – Apache, Cloudera, Hortonworks, and more
Setup and Installation of single-node Hadoop cluster
- Hadoop environment setup and pre-requisites
- Hadoop Installation and configuration
- Working with Hadoop in pseudo-distributed mode
- Troubleshooting encountered problems
Setup and Installation of Hadoop multi-node cluster
- Hadoop environment setup on the cloud (Amazon cloud)
- Installation of Hadoop pre-requisites on all nodes
- Configuration of masters and slaves on the cluster
- Playing with Hadoop in distributed mode
- What is HDFS (Hadoop Distributed File System)
- HDFS daemons and architecture
- HDFS data flow and storage mechanism
- Hadoop HDFS characteristics and design principles
- Responsibility of HDFS Master – NameNode
- Storage mechanism of Hadoop meta-data
- Work of HDFS Slaves – DataNodes
- Data Blocks and distributed storage
- Replication of blocks, reliability, and high availability
- Rack-awareness, scalability, and other features
- Different HDFS APIs and terminologies
- Commissioning of nodes and addition of more nodes
- Expanding clusters in real-time
- Hadoop HDFS Web UI and HDFS explorer
- HDFS best practices and hardware discussion
- What is MapReduce, the processing layer of Hadoop
- The need for a distributed processing framework
- Issues before MapReduce and its evolution
- List processing concepts
- Components of MapReduce – Mapper and Reducer
- MapReduce terminologies- keys, values, lists, and more
- Hadoop MapReduce execution flow
- Mapping and reducing data based on keys
- MapReduce word-count example to understand the flow
- Execution of Map and Reduce together
- Controlling the flow of mappers and reducers
- Optimization of MapReduce Jobs
- Fault-tolerance and data locality
- Working with map-only jobs
- Introduction to Combiners in MapReduce
- How MR jobs can be optimized using combiners
- Anatomy of MapReduce
- Hadoop MapReduce data types
- Developing custom data types using Writable & WritableComparable
- InputFormats in MapReduce
- InputSplit as a unit of work
- How Partitioners partition data
- Customization of RecordReader
- Moving data from mapper to reducer – shuffling & sorting
- Distributed cache and job chaining
- Different Hadoop case-studies to customize each component
- Job scheduling in MapReduce
- The need for an adhoc SQL based solution – Apache Hive
- Introduction to and architecture of Hadoop Hive
- Playing with the Hive shell and running HQL queries
- Hive DDL and DML operations
- Hive execution flow
- Schema design and other Hive operations
- Schema-on-Read vs Schema-on-Write in Hive
- Meta-store management and the need for RDBMS
- Limitations of the default meta-store
- Using SerDe to handle different types of data
- Optimization of performance using partitioning
- Different Hive applications and use cases
- The need for a high level query language – Apache Pig
- How Pig complements Hadoop with a scripting language
- What is Pig
- Pig execution flow
- Different Pig operations like filter and join
- Compilation of Pig code into MapReduce
- Comparison – Pig vs MapReduce
- NoSQL databases and their need in the industry
- Introduction to Apache HBase
- Internals of the HBase architecture
- The HBase Master and Slave Model
- Column-oriented, 3-dimensional, schema-less datastores
- Data modeling in Hadoop HBase
- Storing multiple versions of data
- Data high-availability and reliability
- Comparison – HBase vs HDFS
- Comparison – HBase vs RDBMS
- Data access mechanisms
- Work with HBase using the shell
- The need for Apache Sqoop
- Introduction and working of Sqoop
- Importing data from RDBMS to HDFS
- Exporting data to RDBMS from HDFS
- Conversion of data import/export queries into MapReduce jobs
- What is Apache Flume
- Flume architecture and aggregation flow
- Understanding Flume components like data Sources and Sinks
- Flume channels to buffer events
- Reliable & scalable data collection tools
- Aggregating streams using Fan-in
- Separating streams using Fan-out
- Internals of the agent architecture
- Production architecture of Flume
- Collecting data from different sources to Hadoop HDFS
- Multi-tier Flume flow for collection of volumes of data using AVRO
- The need for and the evolution of YARN
- YARN and its eco-system
- YARN daemon architecture
- Master of YARN – Resource Manager
- Slave of YARN – Node Manager
- Requesting resources from the application master
- Dynamic slots (containers)
- Application execution flow
- MapReduce version 2 application over Yarn
- Hadoop Federation and Namenode HA
- Introducing Scala
- Installation and configuration of Scala
- Developing, debugging, and running basic Scala programs
- Various Scala operations
- Functions and procedures in Scala
- Scala APIs for common operations
- Loops and collections- Array, Map, List, Tuple
- Pattern-matching and Regex
- Eclipse with Scala plugin
- Introduction to OOP – object oriented programming
- Different oops concepts
- Constructors, getters, setters, singletons; overloading and overriding
== Calculated crystals, as found in the file ==
'''
[1]
Na4ZrSi3SnO12: relaxed, PBE.

abc: 9.2138 9.2138 22.8836
angles: 90.00 90.00 120.00
Fractional positions:
Na1 0.0000 0.0000 0.0832
Na2 0.0000 0.0000 0.5824
Na3 0.9996 0.3665 0.3323
Na4 0.9999 0.6340 0.8328
Na5 0.0328 0.3330 0.6660
Na6 0.0336 0.7003 0.1662
Na7 0.2997 0.3333 0.1662
Na8 0.3002 0.9672 0.6660
Na9 0.3334 0.0332 0.0000
Na10 0.3334 0.3005 0.4994
Na11 0.3333 0.6667 0.2490
Na12 0.3333 0.6667 0.7495
Na13 0.3660 0.3660 0.8328
Na14 0.3669 0.0004 0.3323
Na15 0.6335 0.6331 0.3323
Na16 0.6340 0.0001 0.8328
Na17 0.6667 0.3333 0.4160
Na18 0.6667 0.3333 0.9165
Na19 0.6670 0.6998 0.6660
Na20 0.6667 0.9664 0.1662
Na21 0.6995 0.0329 0.4994
Na22 0.6998 0.6666 0.0000
Na23 0.9668 0.3002 0.0000
Na24 0.9671 0.6666 0.4994
Zr1 0.0000 0.0000 0.7310
Zr2 0.0000 0.0000 0.9348
Zr3 0.3333 0.6667 0.3979
Zr4 0.3333 0.6667 0.6001
Zr5 0.3333 0.6667 0.8990
Zr6 0.6667 0.3333 0.7674
Si1 0.0000 0.2947 0.8329
Si2 0.0360 0.3693 0.4993
Si3 0.0386 0.6640 0.0013
Si4 0.2920 0.2898 0.3318
Si5 0.2947 0.0000 0.8329
Si6 0.3332 0.9640 0.4993
Si7 0.3360 0.3745 0.0013
Si8 0.3742 0.0409 0.1662
Si9 0.3747 0.3338 0.6652
Si10 0.6255 0.9614 0.0013
Si11 0.6307 0.6668 0.4993
Si12 0.6662 0.0409 0.6652
Si13 0.6667 0.6258 0.1662
Si14 0.7053 0.7053 0.8329
Si15 0.7102 0.0021 0.3318
Si16 0.9591 0.3333 0.1662
Si17 0.9591 0.6253 0.6652
Si18 0.9979 0.7080 0.3318
Sn1 0.0000 0.0000 0.2309
Sn2 0.0000 0.0000 0.4335
Sn3 0.3333 0.6667 0.1013
Sn4 0.6667 0.3333 0.0654
Sn5 0.6667 0.3333 0.2673
Sn6 0.6667 0.3333 0.5647
O1 0.0218 0.1847 0.4935
O2 0.0217 0.8320 0.9948
O3 0.0345 0.2087 0.7754
O4 0.0383 0.8282 0.2742
O5 0.1228 0.4917 0.4424
O6 0.1225 0.6296 0.9433
O7 0.1446 0.6430 0.6603
O8 0.1457 0.5027 0.1606
O9 0.1576 0.4550 0.5564
O10 0.1608 0.7045 0.0585
O11 0.1628 0.9782 0.4935
O12 0.1654 0.6896 0.3381
O13 0.1680 0.1897 0.9948
O14 0.1683 0.4790 0.8382
O15 0.1718 0.2101 0.2742
O16 0.1742 0.9655 0.7754
O17 0.1876 0.0236 0.1717
O18 0.1893 0.1659 0.6708
O19 0.2082 0.0341 0.8901
O20 0.2123 0.1719 0.3905
O21 0.2955 0.4563 0.0585
O22 0.2974 0.8424 0.5564
O23 0.3104 0.4758 0.3381
O24 0.3106 0.8317 0.8382
O25 0.3570 0.5015 0.6603
O26 0.3569 0.8543 0.1606
O27 0.3688 0.8772 0.4424
O28 0.3704 0.4929 0.9433
O29 0.4544 0.1606 0.1082
O30 0.4560 0.2949 0.6074
O31 0.4784 0.1676 0.8277
O32 0.4793 0.3080 0.3268
O33 0.4929 0.3684 0.7228
O34 0.4942 0.1214 0.2242
O35 0.4973 0.6431 0.1606
O36 0.4985 0.8554 0.6603
O37 0.5034 0.1484 0.5050
O38 0.5055 0.3581 0.0058
O39 0.5071 0.8775 0.9433
O40 0.5083 0.6312 0.4424
O41 0.5210 0.6894 0.8382
O42 0.5242 0.8346 0.3381
O43 0.5437 0.8392 0.0585
O44 0.5450 0.7026 0.5564
O45 0.6272 0.5058 0.2242
O46 0.6316 0.1246 0.7228
O47 0.6419 0.1474 0.0058
O48 0.6450 0.4966 0.5050
O49 0.6892 0.5216 0.8277
O50 0.6920 0.1713 0.3268
O51 0.7051 0.1611 0.6074
O52 0.7062 0.5456 0.1082
O53 0.7899 0.9617 0.2742
O54 0.7913 0.8258 0.7754
O55 0.8103 0.9783 0.9948
O56 0.8153 0.8372 0.4935
O57 0.8259 0.7918 0.8901
O58 0.8281 0.0404 0.3905
O59 0.8287 0.5207 0.3268
O60 0.8324 0.3108 0.8277
O61 0.8341 0.0234 0.6708
'''
- Nested Classes and visibility Rules
- Functional Structures
- Functional programming constructs
- Call by Name, Call by Value
- Problems with older Big Data solutions
- Batch vs Real-time vs in-Memory processing
- Limitations of MapReduce
- Apache Storm introduction and its limitations
Between two parts of the text: calculated crystals =
=====
Run A
MgCu2Se2O8: relaxed, PBE.

a = 5.649 Å, b = 5.649 Å, c = 7.490 Å
α = 90.24°, β = 90.24°, γ = 58.33°
Fractional coordinates of all 13 atoms:
1 Mg 0.000 0.000 0.000
2 Cu 0.250 0.250 0.340
3 Cu 0.253 0.253 0.665
4 Se 0.545 0.545 0.505
5 Se 0.730 0.730 0.005
6 O 0.387 0.887 0.008
7 O 0.390 0.903 0.504
8 O 0.447 0.447 0.316
9 O 0.449 0.449 0.695
10 O 0.836 0.836 0.830
11 O 0.841 0.841 0.176
12 O 0.887 0.387 0.008
13 O 0.903 0.390 0.504

As for the total moment: 0.00 μB/cell.

---

Run B
MgCu2Se2O8: relaxed, PBE.

a = 5.297 Å, b = 5.297 Å, c = 6.641 Å
α = 94.66°, β = 94.66°, γ = 69.71°
Fractional coordinates of all 13 atoms:
1 Mg 0.000 0.000 0.000
2 Cu 0.500 0.500 0.000
3 Cu 0.500 0.500 0.500
4 Se 0.170 0.170 0.702
5 Se 0.830 0.830 0.298
6 O 0.173 0.740 0.245
7 O 0.260 0.827 0.755
8 O 0.278 0.278 0.506
9 O 0.281 0.281 0.931
10 O 0.719 0.719 0.069
11 O 0.722 0.722 0.494
12 O 0.740 0.173 0.245
13 O 0.827 0.260 0.755

As for the total moment: 0.00 μB/cell.

---

Run C
MgCu2Se2O8: relaxed, PBE.

a = 6.495 Å, b = 5.242 Å, c = 5.242 Å
α = 72.61°, β = 90.00°, γ = 90.00°
Fractional coordinates of all 13 atoms:
1 Mg 0.000 0.000 0.000
2 Cu 0.287 0.330 0.330
3 Cu 0.713 0.330 0.330
4 Se 0.000 0.670 0.670
5 Se 0.500 0.963 0.963
6 O 0.000 0.016 0.593
7 O 0.000 0.593 0.016
8 O 0.213 0.559 0.559
9 O 0.284 0.092 0.092
10 O 0.500 0.107 0.619
11 O 0.500 0.619 0.107
12 O 0.716 0.092 0.092
13 O 0.787 0.559 0.559

As for the total moment: 0.00 μB/cell.

---

Unit: meV per atom. Relative energies: run A 58; run B 104; run C 0.

---

Run A
Mg6CuSiO8: relaxed, PBE.

a = 4.289 Å, b = 4.289 Å, c = 8.583 Å
α = 90.00°, β = 90.00°, γ = 90.00°
Fractional coordinates of all 16 atoms:
1 Mg 0.000 0.000 0.000
2 Mg 0.000 0.000 0.500
3 Mg 0.000 0.500 0.241
4 Mg 0.000 0.500 0.759
5 Mg 0.500 0.000 0.241
6 Mg 0.500 0.000 0.759
7 Cu 0.500 0.500 0.000
8 Si 0.500 0.500 0.500
9 O 0.000 0.000 0.251
10 O 0.000 0.000 0.749
11 O 0.000 0.500 0.000
12 O 0.000 0.500 0.500
13 O 0.500 0.000 0.000
14 O 0.500 0.000 0.500
15 O 0.500 0.500 0.287
16 O 0.500 0.500 0.713

As for the total moment: 0.00 μB/cell.

---

Run B
Mg6CuSiO8: relaxed, PBE.

a = 4.254 Å, b = 4.254 Å, c = 8.695 Å
α = 90.00°, β = 90.00°, γ = 90.00°
Fractional coordinates of all 16 atoms:
1 Mg 0.000 0.000 0.000
2 Mg 0.000 0.500 0.250
3 Mg 0.000 0.500 0.750
4 Mg 0.500 0.000 0.250
5 Mg 0.500 0.000 0.750
6 Mg 0.500 0.500 0.000
7 Cu 0.000 0.000 0.500
8 Si 0.500 0.500 0.500
9 O 0.000 0.000 0.235
10 O 0.000 0.000 0.765
11 O 0.000 0.500 0.000
12 O 0.000 0.500 0.500
13 O 0.500 0.000 0.000
14 O 0.500 0.000 0.500
15 O 0.500 0.500 0.258
16 O 0.500 0.500 0.742

As for the total moment: 0.00 μB/cell.

---

Unit: meV per atom. Relative energies: run A 0; run B 35.

~~~~~

42
Lattice="-11.4548 0.0000 0.0000 0.0000 11.4548 0.0000 5.7274 -5.7274 -8.3996" Properties=species:S:1:pos:R:3 comment="Tm11Sn10, optimized geometry, DFT r²SCAN" total_energy_ev_per_atom=-30.969 space_group="I4/mmm, No. 139" crystal_system=tetragonal pbc="T T T"
=====
- Need for Apache Spark
- Introduction to Apache Spark
- Architecture and design principles of Apache Spark
- Spark features and characteristics
- Apache Spark Ecosystem components and their insights
- Spark environment setup
- Installing and configuring prerequisites
- Installation of Spark in local mode
- Troubleshooting encountered problems
- Spark installation and configuration in standalone mode
- Installation and configuration of Spark in YARN mode
- Installation and configuration of Spark on a real cluster
- Best practices for Spark deployment
- Working on the Spark shell
- Executing Scala and Java statements in the shell
- Understanding SparkContext and the driver
- Reading data from local file-system and HDFS
- Caching data in memory for further use
- Distributed persistence
- Spark streaming
- Testing and troubleshooting
- Introduction to Spark RDDs
- How RDDs make Spark a feature rich framework
- Transformations in Spark RDDs
- Spark RDDs action and persistence
- Lazy operations and fault tolerance in Spark
- Loading data and how to create RDD in Spark
- Persisting RDD in memory or disk
- Pairing operations and key-value in Spark
- Hadoop integration with Spark
- Apache Spark practicals and workshops
- The need for stream analytics
- Comparison with Storm and S4
- Real-time data processing using streaming
- Fault tolerance and checkpointing in Spark
- Stateful Stream Processing
- DStream and window operations in Spark
- Spark Stream execution flow
- Connection to various source systems
- Performance optimizations in Spark
- The need for Spark machine learning
- Introduction to Machine learning in Spark
- Various Spark libraries
- Algorithms for clustering, statistical analytics, classification etc.
- Introduction to Spark GraphX
- The need for different graph processing engine
- Graph handling using Apache Spark
- Introduction to Spark SQL
- Apache Spark SQL Features and Data flow
- Architecture and components of Spark SQL
- Hive and Spark together
- Data frames and loading data
- Hive Queries through Spark
- Various Spark DDL and DML operations
- Performance tuning in Spark
Live Apache Spark & Hadoop project using Spark & Hadoop components to solve real-world Big Data problems in Hadoop & Spark.
Awesome Big Data projects you’ll get to build in this Spark and Hadoop course
Web Analytics
Weblogs are web server logs where web servers like Apache record all events along with a remote IP, timestamp, requested resource, referral, user agent, and other such data. The objective is to analyze weblogs to generate insights like user navigation patterns, top referral sites, and highest/lowest traffic-times.
IVR Data Analysis
Learn to analyze IVR(Interactive Voice Response) data and use it to generate multiple insights. IVR call records are meticulously analyzed to help with optimization of the IVR system in an effort to ensure that maximum calls complete at the IVR itself, leaving no room for the need for a call-center.
Set Top Box Data Analysis
Learn to analyze Set-Top-Box data and generate insights about smart tv usage patterns. Analyze set top box media data and generate patterns of channel navigation and VOD. This Spark Project includes details about users’ activities tuning a channel or duration, browsing for videos, or purchasing videos using VOD.
Sentiment Analysis
Sentiment analysis is the analysis of people’s opinions, sentiments, evaluations, appraisals, attitudes, and emotions in relation to entities such as individuals, products, events, services, organizations, and topics. It is achieved by classifying the observed expressions as opinions that may be positive or negative.
Titanic Data Analysis
• Inserted here: materials data:
-- begin --
(1)
Material: Al3Cd
Method: DFT, GGA-PBE
State: relaxed

Cell and atoms, written as POSCAR:
```
Al3Cd
1.0
4.202 0.000 0.000
0.000 4.202 0.000
0.000 0.000 4.202
Al Cd
3 1
Direct
0.000 0.000 0.500 Al
0.000 0.500 0.000 Al
0.500 0.000 0.000 Al
0.500 0.500 0.500 Cd
```

## Properties
- Final energy: -11.6 eV for the cell shown
- Calculated volume: 74.18 Å³ per cell
- Magnetic moment: 0.000 μB/atom


(2)
Material: Al2CdCl8
Method: DFT, GGA-PBE
State: relaxed

Cell and atoms, written as POSCAR:
```
Al2CdCl8
1.0
7.191 0.000 0.000
0.000 7.108 0.000
-0.539 0.000 13.219
Al Cd Cl
4 2 16
Direct
0.000 0.065 0.000 Al
0.000 0.935 0.500 Al
0.583 0.425 0.200 Al
0.583 0.575 0.700 Al
0.143 0.243 0.238 Cd
0.143 0.757 0.738 Cd
0.096 0.349 0.039 Cl
0.096 0.651 0.539 Cl
0.216 0.083 0.419 Cl
0.216 0.917 0.919 Cl
0.357 0.459 0.788 Cl
0.357 0.541 0.288 Cl
0.491 0.133 0.183 Cl
0.491 0.867 0.683 Cl
0.611 0.426 0.565 Cl
0.611 0.574 0.065 Cl
0.744 0.062 0.919 Cl
0.744 0.938 0.419 Cl
0.842 0.429 0.295 Cl
0.842 0.571 0.795 Cl
0.994 0.062 0.652 Cl
0.994 0.938 0.152 Cl
```

## Properties
- Final energy: -77.4 eV for the cell shown
- Calculated volume: 675.69 Å³ per cell


(3)
Material: Er2AlCd
Method: DFT, GGA-PBE
State: relaxed

Cell and atoms, written as POSCAR:
```
Er2AlCd
1.0
0.000 3.640 3.640
3.640 0.000 3.640
3.640 3.640 0.000
Er Al Cd
2 1 1
Direct
0.250 0.250 0.250 Er
0.750 0.750 0.750 Er
0.000 0.000 0.000 Al
0.500 0.500 0.500 Cd
```

## Properties
- Final energy: -15.2 eV for the cell shown
- Calculated volume: 96.46 Å³ per cell


(4)
Material: Gd3AlCdS7
Method: DFT, GGA-PBE
State: relaxed

Cell and atoms, written as POSCAR:
```
Gd3AlCdS7
1.0
9.848 0.000 0.000
-4.924 8.528 0.000
0.000 0.000 6.252
Gd Al Cd S
6 2 2 14
Direct
0.147 0.381 0.000 Gd
0.234 0.853 0.000 Gd
0.381 0.234 0.500 Gd
0.619 0.766 0.000 Gd
0.766 0.147 0.500 Gd
0.853 0.619 0.500 Gd
0.333 0.667 0.423 Al
0.667 0.333 0.923 Al
0.000 0.000 0.304 Cd
0.000 0.000 0.804 Cd
0.097 0.577 0.267 S
0.108 0.258 0.577 S
0.150 0.892 0.577 S
0.258 0.150 0.077 S
0.333 0.667 0.787 S
0.423 0.520 0.267 S
0.480 0.903 0.267 S
0.520 0.097 0.767 S
0.577 0.480 0.767 S
0.667 0.333 0.287 S
0.742 0.850 0.577 S
0.850 0.108 0.077 S
0.892 0.742 0.077 S
0.903 0.423 0.767 S
```

## Properties
- Final energy: -189.9 eV for the cell shown
- Calculated volume: 525.11 Å³ per cell
- Magnetic moment: 1.753 μB/atom


(5)
Material: Ho2AlCd
Method: DFT, GGA-PBE
State: relaxed

Cell and atoms, written as POSCAR:
```
Ho2AlCd
1.0
0.000 3.664 3.664
3.664 0.000 3.664
3.664 3.664 0.000
Ho Al Cd
2 1 1
Direct
0.250 0.250 0.250 Ho
0.750 0.750 0.750 Ho
0.000 0.000 0.000 Al
0.500 0.500 0.500 Cd
```

## Properties
- Final energy: -15.2 eV for the cell shown
- Calculated volume: 98.40 Å³ per cell


(6)
Material: AlCdInS4
Method: DFT, GGA-PBE
State: relaxed

Cell and atoms, written as POSCAR:
```
AlCdInS4
1.0
1.949 1.126 12.683
-1.949 1.126 12.683
0.000 -2.251 12.683
Al Cd In S
1 1 1 4
Direct
0.000 0.000 0.000 Al
0.238 0.238 0.238 Cd
0.470 0.470 0.470 In
-- stop --
• Back to the article:
Titanic was one of the most colossal disasters in the history of mankind, and it happened because of both natural events and human mistakes. The objective of this project is to analyze multiple Titanic data sets to generate essential insights pertaining to age, gender, survived, class, and embarked.
YouTube Data Analysis
Learn to analyze YouTube Data and generate insights like the 10 topmost videos in various categories, user demographics, no. of views, ratings and such. The data holds fields like id, age, category, length, views, ratings, and comments.
Crime Analysis
Learn to analyze US crime data and find the most crime-prone areas along with the time of crime and its type. The objective is to analyze crime data and generate patterns like time of crime, district, type of crime, latitude, and longitude. This is to ensure that additional security measures can be taken in crime-prone areas.
Amazon Data Analysis
Amazon data sets are made of users’ reviews and ratings of products and services. Analyzing review data, companies attempt to process the sentiments of their users regarding their products to help improve the same.
Features of Hadoop Spark Online Course

Is this online Hadoop Spark course for you?
Big Data is the truth of today and Hadoop and Spark prove to be efficient in processing it. So while anyone can benefit from a career in it, here are the kind of professionals who go for this Hadoop and Spark course:
Software developers, project managers, and architects
BI, ETL and Data Warehousing professionals
Mainframe and testing professionals
Business analysts and analytics professionals
DBAs and DB professionals
Professionals willing to learn Data Science techniques
Any graduate focusing to build a career in Apache Spark and Scala
Our students are working in leading organizations

Spark and Hadoop Training FAQs
If you miss any session, you need not worry as recordings will be uploaded in LMS immediately as the session gets over. You can go through it and get your queries cleared from the instructor during next session. You can also ask him to explain the concepts that you did not understand and were covered in session you missed. Alternatively you can attend the missed session in any other Hadoop and Spark batch running parallely.
Instructor will help you in setting virtual machine on your own system at which you can do Spark and Hadoop practicals anytime from anywhere. Manual to set virtual machine will be available in your LMS in case you want to go through the steps again. Virtual machine can be set on MAC or Windows machine also.
All the Hadoop Spark training sessions will be recorded and you will have lifetime access to the recordings along with the complete Hadoop study material, POCs, Hadoop project etc.
To attend online Spark Hadoop training, you just need a laptop or PC with a good internet connection of around 1 MBPS (But the lesser speed of 512 KBPS will also work). The broadband connection is recommended but you can connect through data card as well.
If you have any doubts during Spark Hadoop sessions, you can clear it with the instructor immediately. If you get queries after the session, you can get it cleared from the instructor in the next session as before starting any session, instructor spends around 15 minutes in doubt clearing. Post training, you can post your query over discussion forum and our support team will assist you. Still if you are not comfortable, you can drop mail to instructor or directly interact with him.
Recommended is minimum of i3 processor, 20 GB disk and 4 GB RAM in order to learn Big Data, Spark, and Hadoop, although students have learnt Hadoop & Spark on 3 GB RAM as well.
Our Certified Hadoop Spark training course includes multiple workshops, POCs, project etc. that will prepare you to the level that you can start working from day 1 wherever you go. You will be assisted in resume preparation. Mock interview will help you in getting ready to face interviews. We will also guide you with the job openings matching to your resume. All this will help you in landing your dream job in Big Data industry.
You will be skilled with the practical and theoretical knowledge that industry is looking for and will become certified Hadoop & Spark professional who is ready to take Big Data Projects in top organizations.
Both voice and chat will be enabled during the big data Hadoop & Spark training course. You can talk with the instructor or can also interact via chatting.
This Spark & Hadoop course is completely online training course with a batch size of 10-12 students only. You will be able to interact with the trainer through voice or chat and individual attention will be provided to all. The trainer ensures that every student is clear of all the concepts taught before proceeding ahead. So there will be a complete environment of classroom learning.